War talk changes our words
In the Nineties, we seemed to be enamored with anything relating to the dot-com world (before that world crumbled before our eyes, of course). Here, in the ’00 decade, our language rapidly is taking on words and phrases that reflect our times: a nation going to war. Admittedly, some of the creeping lingo may be more perception than reality. The mind can play cruel tricks on us if we let it.
For example, if you scan the bestseller list this week of non-fiction titles, even books that do not deal with war seem as though they could. But judge for yourself. Among the Top 10 books in the nation this week are these titles: Bush at War, The Right Man, The Conquerors, Execution, Body for Life, Longitudes & Latitudes, What Should I do with My Life?, and Master of the Senate. No one could make this stuff up. Given the theme of war, don’t these titles suddenly seem to be made to order, even if war was the farthest thing from some publishers’ minds when they devised these titles?
So we can probably expect to start hearing business people and athletes and TV commentators get into a war mode with such exclamations as “customers have created a firestorm of protest over the bad bagels” and “hey, nuke up my coffee, if you don’t mind” and maybe even “this guy is hurting our bottom line, boss. I say we Saddam him as soon as possible.” So here’s a helpful translation guide to possible war-speak, 2003 style:
“This guy will never need night-vision goggles.” (He never works late enough to get dark outside.)
These calculated crystals were left in the text by mistake =
=====
Density functional theory data (PBE) for a relaxed structure of TlCu3Ag4F12.

Computed properties:
- calculated density (g/cm³) = 5.71
- final energy (eV/atom) = -3.78
- formation energy from raw total energies (eV per atom) = -1.35
- magnetization (μB per formula unit) = 3.53

a = 8.4961 Å, b = 8.4961 Å, c = 8.4961 Å
α = 90.00°, β = 90.00°, γ = 90.00°
Space group Im-3 (No. 204)
One atom of each set of equivalent atoms:
Tl  0.0000  0.0000  0.0000 x2
Cu  0.0000  0.0000  0.5000 x6
Ag  0.2500  0.2500  0.2500 x8
F  0.0000  0.1563  0.3372 x24

***

Density functional theory data (PBE) for a relaxed structure of Mg4ScFe.

Computed properties:
- calculated density (g/cm³) = 2.64
- formation energy (eV/atom) = 0.33
- final energy (eV/atom) = -3.20
- magnetization (μB per formula unit) = 1.22

a = 7.9314 Å, b = 7.9314 Å, c = 7.9314 Å
α = 90.00°, β = 90.00°, γ = 90.00°
Space group F-43m (No. 216)
One atom of each set of equivalent atoms:
Mg  0.1244  0.1244  0.3756 x16
Sc  0.0000  0.0000  0.0000 x4
Fe  0.2500  0.2500  0.7500 x4

***

Density functional theory data (PBE) for a relaxed structure of NpIrS4.

Computed properties:
- excess energy over the best structure of this formula in the dataset (meV per atom) = 177
- calculated density (g/cm³) = 7.82
- final energy (eV/atom) = -7.02
- formation energy from raw total energies (eV per atom) = -0.64
- magnetization (μB per formula unit) = 2.05

a = 6.4190 Å, b = 6.0836 Å, c = 6.1370 Å
α = 90.00°, β = 98.76°, γ = 90.00°
Space group P2_1/c (No. 14)
One atom of each set of equivalent atoms:
Np  0.0000  0.0000  0.0000 x2
Ir  0.5000  0.0000  0.5000 x2
S  0.1852  0.1653  0.3767 x4
S  0.3259  0.7024  0.2671 x4

***

Density functional theory data (PBE) for a relaxed structure of AcInSe3.

Computed properties:
- excess energy over the best structure of this formula in the dataset (meV per atom) = 0
- calculated density (g/cm³) = 6.24
- final energy (eV/atom) = -4.70
- formation energy from raw total energies (eV per atom) = -1.24
- magnetization (μB per formula unit) = 0.00

a = 13.8544 Å, b = 9.6571 Å, c = 4.6047 Å
α = 90.00°, β = 90.50°, γ = 90.00°
Space group C2/m (No. 12)
One atom of each set of equivalent atoms:
Ac  0.2365  0.0000  0.2665 x4
In  0.0000  0.3042  0.5000 x4
Se  0.1034  0.5000  0.2343 x4
Se  0.1477  0.1961  0.7633 x8

***

Density functional theory data (PBE) for a relaxed structure of TcSbMo2I.

Computed properties:
=====
“We targeted our position correctly, but the scope was off-track.” (We know who are customers are, but our marketing people screwed it up.)
“Ground Zero is under attack from the soldiers.” (Top executives at company headquarters are about to be removed by shareholders.)
“Wanted: Dead or Alive.” (Flu or not, get your butt into the office for the morning staff meeting.)
“Do we have to U.N. this thing to death?” (Why does everything have to be decided by committee?)
“Your expense account shows a severe material breach.” (We can’t find any specific problems, but your receipts are suspect.)
“My homework was just vaporized by the dog.” (The family pet left no trace of the materials in question.)
“She’s hovering in a no-fly zone.” (She has no idea what she’s talking about.)
“We’re looking at a pure Baghdad scenario here.” (The auditors say this firm will not be in a good place very soon.)
“Well, we can always Hans Blix it for a while.” (Let’s stall for time.)
“Let him Rumsfeld it for a month while we dodge the cross-hairs.” (Keep the media amused with candid comments while we stay out of trouble.)
-- Between two parts of the text: crystal structures --
____________
DFT (GGA-PBE) results for K2Pa2PdS6 after structural relaxation.

Results
Raw formation energy: -1.367 eV/atom
Final energy: -6.017 eV/atom
Space-group type: C2/m, No. 12
ρ: 4.44 g/cm3

Lattice parameters (Å, degrees): 7.1860 7.1860 7.7202 96.14 96.14 125.95
Atoms (fractional coordinates):
1 Pa 0.6587 0.3413 0.5000
2 Pa 0.3413 0.6587 0.5000
3 S 0.2657 0.2657 0.3266
4 S 0.4431 0.0449 0.7061
5 S 0.0449 0.4431 0.7061
6 S 0.5569 0.9551 0.2939
7 S 0.9551 0.5569 0.2939
8 S 0.7343 0.7343 0.6734
9 K 0.1450 0.8550 0.0000
10 K 0.8550 0.1450 0.0000
11 Pd 0.0000 0.0000 0.5000


DFT (GGA-PBE) results for KPaSb2Pd2 after structural relaxation.

Results
Raw formation energy: -0.633 eV/atom
Final energy: -5.504 eV/atom
Space-group type: P-3m1, No. 164
ρ: 7.44 g/cm3

Lattice parameters (Å, degrees): 4.6270 4.6270 8.7429 90.00 90.00 120.00
Atoms (fractional coordinates):
1 Sb 0.6667 0.3333 0.2932
2 Sb 0.3333 0.6667 0.7068
3 Pd 0.6667 0.3333 0.6819
4 Pd 0.3333 0.6667 0.3181
5 K 0.0000 0.0000 0.0000
6 Pa 0.0000 0.0000 0.5000


DFT (GGA-PBE) results for K3Pa2PdSe6 after structural relaxation.

Results
Raw formation energy: -1.191 eV/atom
Final energy: -5.223 eV/atom
Space-group type: C2/m, No. 12
ρ: 5.57 g/cm3

Lattice parameters (Å, degrees): 7.2036 7.2036 8.0629 98.42 98.42 120.14
Atoms (fractional coordinates):
1 Pa 0.3328 0.6672 0.0000
2 Pa 0.6672 0.3328 0.0000
3 Se 0.5847 0.9316 0.7929
4 Se 0.4153 0.0684 0.2071
5 Se 0.9316 0.5847 0.7929
6 Se 0.2754 0.2754 0.7976
7 Se 0.0684 0.4153 0.2071
8 Se 0.7246 0.7246 0.2024
9 Pd 0.0000 0.0000 0.0000
10 K 0.1594 0.8406 0.5000
11 K 0.5000 0.5000 0.5000
12 K 0.8406 0.1594 0.5000

* * * * *

# 1
Computed, not measured: a relaxed NpCu2Ag3S6 crystal at the PBE-GGA level of DFT.

E_tot in eV per atom: -4.886
Raw formation energy in eV/f.u.: -4.2
Fermi-level density of states in states/eV per cell: 8.0
Space-group type: C2/m (12)

a b c (Å): 6.247 6.247 6.663
angles (deg): 100.65 100.65 113.92
Element x y z (fractional)
Np 0.000 0.000 0.000
Cu 0.324 0.676 0.000
Cu 0.676 0.324 0.000
Ag 0.142 0.858 0.500
Ag 0.500 0.500 0.500
Ag 0.858 0.142 0.500
S 0.035 0.390 0.248
S 0.302 0.302 0.811
S 0.390 0.035 0.248
S 0.610 0.965 0.752
S 0.698 0.698 0.189
S 0.965 0.610 0.752

# 2
Computed, not measured: a relaxed Np3CuAg4S8 crystal at the PBE-GGA level of DFT.

E_tot in eV per atom: -6.129
Raw formation energy in eV/f.u.: -10.7
Fermi-level density of states in states/eV per cell: 29.8
Space-group type: C2/m (12)

a b c (Å): 7.494 7.494 7.658
angles (deg): 115.73 115.73 63.16
Element x y z (fractional)
Np 0.000 0.000 0.000
Np 0.000 0.500 0.500
Np 0.500 0.000 0.500
Cu 0.500 0.500 0.000
Ag 0.000 0.000 0.500
Ag 0.000 0.500 0.000
Ag 0.500 0.000 0.000
Ag 0.500 0.500 0.500
S 0.229 0.229 0.724
S 0.246 0.246 0.251
S 0.266 0.721 0.770
S 0.279 0.734 0.230
S 0.721 0.266 0.770
S 0.734 0.279 0.230
S 0.754 0.754 0.749
S 0.771 0.771 0.276

# 3
Computed, not measured: a relaxed Np3CuAg4Se8 crystal at the PBE-GGA level of DFT.

E_tot in eV per atom: -5.694
____________
-- The text goes on --
John Merli has been a Prince William County resident since 1984, and a Potomac News columnist since 1985. He has worked in the media for more than 30 years. E-mail him at: [email protected]